# Source
<<<
Entry 1:
Computed, not measured: crystalline BaGa4O7 at its relaxed geometry at the PBE level of DFT.

a = 13.841 Å, b = 9.506 Å, c = 5.860 Å
α = 90.00°, β = 104.63°, γ = 90.00°
Space group C2/c (No. 15)
One atom of each set of equivalent atoms:
Ba 0.000 0.190 0.250
Ga 0.120 0.436 0.768
Ga 0.174 0.087 0.801
O 0.000 0.477 0.250
O 0.122 0.038 0.053
O 0.126 0.256 0.667
O 0.186 0.442 0.097

## Properties
energy of formation from the pure elements = -2.486 eV per atom
ρ = 4.70 Mg/m³



Entry 2:
Computed, not measured: crystalline Ba7TiN6 at its relaxed geometry at the PBE level of DFT.

a = 12.636 Å, b = 7.071 Å, c = 14.590 Å
α = 90.00°, β = 90.00°, γ = 90.00°
Space group Pbcn (No. 60)
One atom of each set of equivalent atoms:
Ba 0.000 0.071 0.250
Ba 0.034 0.242 0.520
Ba 0.213 0.402 0.126
Ba 0.227 0.336 0.873
Ti 0.000 0.423 0.750
N 0.052 0.420 0.351
N 0.117 0.257 0.710
N 0.163 0.102 0.002

## Properties
energy of formation from the pure elements = -0.781 eV per atom
magnetization = 0.000 μB/atom
ρ = 5.57 Mg/m³



| no. | calculated total energy (eV/atom) |
| --- | --- |
| 1 | -6.1411 |
| 2 | -5.7227 |
>>>

# Exercise
Your job: retype all of the material further above without altering anything.

# Done
Entry 1:
Computed, not measured: crystalline BaGa4O7 at its relaxed geometry at the PBE level of DFT.

a = 13.841 Å, b = 9.506 Å, c = 5.860 Å
α = 90.00°, β = 104.63°, γ = 90.00°
Space group C2/c (No. 15)
One atom of each set of equivalent atoms:
Ba 0.000 0.190 0.250
Ga 0.120 0.436 0.768
Ga 0.174 0.087 0.801
O 0.000 0.477 0.250
O 0.122 0.038 0.053
O 0.126 0.256 0.667
O 0.186 0.442 0.097

## Properties
energy of formation from the pure elements = -2.486 eV per atom
ρ = 4.70 Mg/m³



Entry 2:
Computed, not measured: crystalline Ba7TiN6 at its relaxed geometry at the PBE level of DFT.

a = 12.636 Å, b = 7.071 Å, c = 14.590 Å
α = 90.00°, β = 90.00°, γ = 90.00°
Space group Pbcn (No. 60)
One atom of each set of equivalent atoms:
Ba 0.000 0.071 0.250
Ba 0.034 0.242 0.520
Ba 0.213 0.402 0.126
Ba 0.227 0.336 0.873
Ti 0.000 0.423 0.750
N 0.052 0.420 0.351
N 0.117 0.257 0.710
N 0.163 0.102 0.002

## Properties
energy of formation from the pure elements = -0.781 eV per atom
magnetization = 0.000 μB/atom
ρ = 5.57 Mg/m³



| no. | calculated total energy (eV/atom) |
| --- | --- |
| 1 | -6.1411 |
| 2 | -5.7227 |